Vote Row 'Will Be Election Issue'
26 September 2014, 06:01 | Updated: 26 September 2014, 06:35
Conservatives will make "English votes for English laws'' an election issue if Labour refuses to sign up to changes which would bar Scottish MPs from voting on issues which affect only constituencies south of the border, David Cameron has said.
The Prime Minister infuriated Labour with an early-morning announcement following last week's rejection of independence in the Scottish referendum that moves to devolve new powers to Scotland must be accompanied by reforms at Westminster to resolve the so-called "West Lothian question''.
Labour - which is calling for the swift implementation of promises to Scotland agreed by all three major party leaders in a pre-referendum pledge, followed by a constitutional convention to discuss wider issues - has accused the Prime Minister of "playing fast and loose'' with the constitution for party political reasons.
And Mr Cameron, who has tasked William Hague with chairing a Cabinet committee to draw up proposals for "English votes'', made clear that he was ready to treat the issue as something which would offer "a very clear choice'' for voters choosing a party at the May 2015 general election.
The Prime Minister told reporters: "I think Labour are making a great mistake in not understanding that if you move to a situation where Scottish MPs are able to vote on even more issues - including potentially tax rates, spending, on welfare issues - the English question needs to be answered and you need to have English votes for English laws.
"In terms of how this will work, as a government we've set up this committee we're examining what can be done and we will publish our proposals.
"But I'm very clear we will keep all promises we made to the Scottish people about further devolution and stick to the timetable that we agreed and set out.
"At the next election if Labour don't agree English votes for English laws, there will be a very clear choice. If you vote Conservative, you'll get both - more Scottish devolution and an answer to the English question. We're quite clear we'll do both.
"That will be our offer. It's up to others to say what they want to do but be in no doubt I absolutely keep my promises to the Scottish people about further powers.''
Labour has traditionally won the lion's share of Scotland's 59 seats at Westminster.
_Here the page breaks off for calculated crystals_
# 1
The following is a GGA-PBE calculation of crystalline SmH3C3O6 at its relaxed geometry, from the Materials Project.

Summary:
Maximum piezoelectric response ... 0.303 C/m²
Total magnetization ... 0.0 μB/f.u.
E_form ... -1756 meV/atom
E (MP2020) ... -7.315 eV/atom

Cell lengths 6.2787, 6.2787, 6.2787 Å; angles 115.45, 115.45, 115.45 degrees
Atoms (fractional coordinates):
C 0.6880 0.2277 0.2277
C 0.2277 0.2277 0.6880
C 0.2277 0.6880 0.2277
H 0.4664 0.9825 0.4664
H 0.9825 0.4664 0.4664
H 0.4664 0.4664 0.9825
O 0.9545 0.5561 0.9545
O 0.2494 0.2494 0.5033
O 0.2494 0.5033 0.2494
O 0.9545 0.9545 0.5561
O 0.5033 0.2494 0.2494
O 0.5561 0.9545 0.9545
Sm 0.8410 0.8410 0.8410



# 2
The following is a GGA-PBE calculation of crystalline SnH8C4O4 at its relaxed geometry, from the Materials Project.

Summary:
Total magnetization ... 0.0 μB/f.u.
E_form ... -722 meV/atom
E (MP2020) ... -5.890 eV/atom

Cell lengths 6.1211, 9.3995, 12.9869 Å; angles 90.00, 90.00, 90.00 degrees
Atoms (fractional coordinates):
C 0.1262 0.7500 0.5769
C 0.4030 0.5259 0.3631
C 0.5970 0.4741 0.6369
C 0.1577 0.2500 0.6798
C 0.0970 0.9741 0.8631
C 0.8738 0.2500 0.4231
C 0.3738 0.7500 0.0769
C 0.6577 0.7500 0.8202
C 0.5970 0.0259 0.6369
C 0.9030 0.4741 0.1369
C 0.0970 0.5259 0.8631
C 0.6262 0.2500 0.9231
C 0.8423 0.7500 0.3202
C 0.3423 0.2500 0.1798
C 0.9030 0.0259 0.1369
C 0.4030 0.9741 0.3631
O 0.6061 0.0755 0.7278
O 0.1973 0.0842 0.8947
O 0.8027 0.9158 0.1053
O 0.8027 0.5842 0.1053
O 0.3027 0.0842 0.3947
O 0.8939 0.4245 0.2278
O 0.3939 0.9245 0.2722
O 0.6973 0.5842 0.6053
O 0.3939 0.5755 0.2722
O 0.3027 0.4158 0.3947
O 0.1973 0.4158 0.8947
O 0.6061 0.4245 0.7278
O 0.1061 0.9245 0.7722
O 0.1061 0.5755 0.7722
O 0.6973 0.9158 0.6053
O 0.8939 0.0755 0.2278
H 0.4414 0.1539 0.1883
H 0.8992 0.3457 0.4696
H 0.9956 0.5815 0.9213
H 0.4956 0.4185 0.5787
H 0.2385 0.2500 0.6046
H 0.2101 0.7500 0.1107
H 0.9414 0.6539 0.3117
H 0.4414 0.3461 0.1883
H 0.8992 0.1543 0.4696
H 0.7899 0.2500 0.8893
H 0.5044 0.5815 0.4213
H 0.0044 0.0815 0.0787
H 0.9414 0.8461 0.3117
H 0.0044 0.4185 0.0787
H 0.2899 0.7500 0.6107
H 0.5586 0.8461 0.8117
H 0.4956 0.0815 0.5787
H 0.7385 0.7500 0.8954
H 0.3992 0.8457 0.0304
H 0.1008 0.6543 0.5304
H 0.1008 0.8457 0.5304
H 0.2615 0.2500 0.1046
H 0.3992 0.6543 0.0304
H 0.7101 0.2500 0.3893
H 0.7615 0.7500 0.3954
H 0.5586 0.6539 0.8117
H 0.0586 0.3461 0.6883
H 0.0586 0.1539 0.6883
H 0.6008 0.1543 0.9696
H 0.5044 0.9185 0.4213
H 0.6008 0.3457 0.9696
H 0.9956 0.9185 0.9213
Sn 0.3941 0.2500 0.8011
Sn 0.6059 0.7500 0.1989
Sn 0.8941 0.7500 0.6989
Sn 0.1059 0.2500 0.3011

=====

1.
ZrCdC8O16 | GGA-PBE | optimized geometry

Cell lengths 9.156, 9.156, 24.012 Å; angles 90.00, 90.00, 120.00 degrees
Sites, in units of the cell vectors:
1 Zr 0.000 0.500 0.333
2 Zr 0.500 0.000 0.000
3 Zr 0.500 0.500 0.667
4 Cd 0.000 0.500 0.833
5 Cd 0.500 0.000 0.500
6 Cd 0.500 0.500 0.167
7 C 0.208 0.415 0.252
8 C 0.208 0.415 0.748
9 C 0.208 0.792 0.414
10 C 0.208 0.792 0.919
11 C 0.300 0.622 0.251
With powers over tax and spending set to be transferred to the Scottish Parliament in Edinburgh under the devolution deal, the removal of Scottish MPs' right to vote on equivalent issues in Westminster would potentially present a future Labour prime minister with grave difficulties in getting key legislation - including Budget measures - on to the statute book.
By contrast, Mr Cameron said further devolution was not a problem for Conservatives, who had already set out plans in a report by Tory peer Lord Strathclyde.
[Crystal structures from another source follow]
<<<
Cs2Se5: optimized geometry, r²SCAN.

Unit cell a=7.2081 b=7.5494 c=19.0595 alpha=90.00 beta=90.00 gamma=90.00
Fractional coordinates of all 28 atoms:
1 Cs 0.0805 0.2500 0.1610
2 Cs 0.1194 0.4180 0.5131
3 Cs 0.3806 0.5820 0.0131
4 Cs 0.4195 0.7500 0.6610
5 Cs 0.5805 0.2500 0.8390
6 Cs 0.6194 0.0820 0.4869
7 Cs 0.8806 0.9180 0.9869
8 Cs 0.9195 0.7500 0.3390
9 Se 0.0443 0.6277 0.8022
10 Se 0.0555 0.7538 0.1579
11 Se 0.0677 0.3758 0.8763
12 Se 0.0997 0.9224 0.5208
13 Se 0.2494 0.8464 0.8492
14 Se 0.2506 0.1536 0.3492
15 Se 0.4003 0.0776 0.0208
16 Se 0.4323 0.6242 0.3763
17 Se 0.4445 0.2462 0.6579
18 Se 0.4557 0.3723 0.3022
19 Se 0.5443 0.8723 0.1978
20 Se 0.5555 0.7462 0.8421
21 Se 0.5677 0.1242 0.1237
22 Se 0.5997 0.5776 0.4792
23 Se 0.7494 0.6536 0.1508
24 Se 0.7506 0.3464 0.6508
25 Se 0.9003 0.4224 0.9792
26 Se 0.9323 0.8758 0.6237
27 Se 0.9445 0.2538 0.3421
28 Se 0.9557 0.1277 0.6978

## Properties
space-group type: P2_12_12_1 (19)
crystal system: orthorhombic

HgMo6Cl14: optimized geometry, r²SCAN.

Unit cell a=12.9244 b=12.9244 c=12.9244 alpha=90.00 beta=90.00 gamma=90.00
Fractional coordinates of all 84 atoms:
1 Hg 0.0000 0.0000 0.0000
2 Hg 0.0000 0.5000 0.5000
3 Hg 0.5000 0.0000 0.5000
4 Hg 0.5000 0.5000 0.0000
5 Mo 0.0248 0.5306 0.8633
6 Mo 0.0248 0.9694 0.6367
7 Mo 0.0306 0.1367 0.5248
8 Mo 0.0306 0.3633 0.9752
9 Mo 0.1367 0.5248 0.0306
10 Mo 0.1367 0.9752 0.4694
11 Mo 0.3633 0.5248 0.4694
12 Mo 0.3633 0.9752 0.0306
13 Mo 0.4694 0.1367 0.9752
14 Mo 0.4694 0.3633 0.5248
15 Mo 0.4752 0.5306 0.6367
16 Mo 0.4752 0.9694 0.8633
17 Mo 0.5248 0.0306 0.1367
18 Mo 0.5248 0.4694 0.3633
19 Mo 0.5306 0.6367 0.4752
20 Mo 0.5306 0.8633 0.0248
21 Mo 0.6367 0.0248 0.9694
22 Mo 0.6367 0.4752 0.5306
23 Mo 0.8633 0.0248 0.5306
24 Mo 0.8633 0.4752 0.9694
25 Mo 0.9694 0.6367 0.0248
26 Mo 0.9694 0.8633 0.4752
27 Mo 0.9752 0.0306 0.3633
28 Mo 0.9752 0.4694 0.1367
29 Cl 0.0631 0.5788 0.6828
30 Cl 0.0631 0.9212 0.8172
31 Cl 0.0768 0.6254 0.1829
32 Cl 0.0768 0.8746 0.3171
33 Cl 0.0788 0.1828 0.9369
34 Cl 0.0788 0.3172 0.5631
35 Cl 0.1254 0.6829 0.9232
36 Cl 0.1254 0.8171 0.5768
37 Cl 0.1362 0.1362 0.3638
38 Cl 0.1362 0.3638 0.1362
39 Cl 0.1829 0.0768 0.6254
40 Cl 0.1829 0.4232 0.8746
41 Cl 0.1828 0.5631 0.4212
42 Cl 0.1828 0.9369 0.0788
43 Cl 0.3171 0.0768 0.8746
44 Cl 0.3171 0.4232 0.6254
45 Cl 0.3172 0.5631 0.0788
46 Cl 0.3172 0.9369 0.4212
47 Cl 0.3638 0.1362 0.1362
48 Cl 0.3638 0.3638 0.3638
49 Cl 0.3746 0.6829 0.5768
50 Cl 0.3746 0.8171 0.9232
51 Cl 0.4212 0.1828 0.5631
52 Cl 0.4212 0.3172 0.9369
53 Cl 0.4232 0.6254 0.3171
54 Cl 0.4232 0.8746 0.1829
55 Cl 0.4369 0.5788 0.8172
56 Cl 0.4369 0.9212 0.6828
57 Cl 0.5631 0.0788 0.3172
58 Cl 0.5631 0.4212 0.1828
59 Cl 0.5768 0.1254 0.8171
60 Cl 0.5768 0.3746 0.6829
61 Cl 0.5788 0.6828 0.0631
62 Cl 0.5788 0.8172 0.4369
63 Cl 0.6254 0.1829 0.0768
64 Cl 0.6254 0.3171 0.4232
65 Cl 0.6362 0.6362 0.6362
66 Cl 0.6362 0.8638 0.8638
67 Cl 0.6828 0.0631 0.5788
68 Cl 0.6828 0.4369 0.9212
69 Cl 0.6829 0.5768 0.3746
>>>
[The page goes on]
"I think it's an important point,'' said the Prime Minister. ``I'm not sure if everybody noticed - because the Conservative Party's proposals in the Strathclyde Commission are probably the most far-reaching in terms of devolution, this has never been a problem for me or my party. We were planning for devolution for the Scottish people according to the Strathclyde Commission.
"What we have now is a timetable for getting the other parties to look at these proposals and come up with their own proposals and then the draft clauses will be drawn up in January and we will commit to putting them in place after the next election.''